Alpha Begged for My Love When I Stopped Caring Him

The day i lost my pup,my life hanging in the balance,but my mate still chose to save his Luna,leaving me fend for myself,abandoned and broken!

When I lost our pup in a brutal rival wolves ambush, my mate—Alpha Joshua of the Moonriver Pack—made a choice that shattered me.

Unrelated to this text: calculated crystals:
'''
For HfMn2Pd5, a GGA-PBE-relaxed structure gives the calculated X-ray powder pattern in this record (λ = 1.5418 Å (Cu Kα)).

Largest 8 diffraction maxima, most intense first, 2θ from 10° to 90°:
2θ 39.1, I = 100
2θ 46.1, I = 28
2θ 44.3, I = 19
2θ 65.9, I = 19
2θ 78.1, I = 13
2θ 80.8, I = 9
2θ 40.0, I = 7
2θ 80.6, I = 6

Cell and atoms:
```
HfMn2Pd5
1.0
5.5757 0.0000 0.0000
0.0000 11.1189 0.0000
0.0000 0.0000 4.0897
Hf Mn Pd
2 4 10
direct
0.0000 0.0000 0.0000
0.5000 0.5000 0.0000
0.2016 0.3606 0.5000
0.2984 0.8606 0.5000
0.7016 0.1394 0.5000
0.7984 0.6394 0.5000
0.0000 0.5000 0.0000
0.0446 0.7571 0.0000
0.2204 0.1156 0.5000
0.2796 0.6156 0.5000
0.4554 0.2571 0.0000
0.5000 0.0000 0.0000
0.5446 0.7429 0.0000
0.7204 0.3844 0.5000
0.7796 0.8844 0.5000
0.9554 0.2429 0.0000
```

=====

For Hf2MnPd6, a GGA-PBE-relaxed structure gives the calculated X-ray powder pattern in this record (λ = 1.5418 Å (Cu Kα)).

Largest 8 diffraction maxima, most intense first, 2θ from 10° to 90°:
2θ 42.3, I = 100
2θ 38.6, I = 89
2θ 40.8, I = 89
2θ 32.5, I = 57
2θ 45.7, I = 46
2θ 37.3, I = 35
2θ 76.7, I = 34
2θ 39.1, I = 32

Cell and atoms:
```
Hf2MnPd6
1.0
6.9994 -3.6024 0.0000
6.9994 3.6024 0.0000
-0.0061 0.0000 3.0567
Hf Mn Pd
2 1 6
direct
0.1905 0.1905 0.4985
0.8095 0.8095 0.5015
0.5000 0.5000 0.0000
0.1502 0.5344 0.0008
0.1897 0.8103 0.5000
0.4656 0.8498 0.9992
0.5344 0.1502 0.0008
0.8103 0.1897 0.5000
0.8498 0.4656 0.9992
```

=====

For Hf2MnPd7, a GGA-PBE-relaxed structure gives the calculated X-ray powder pattern in this record (λ = 1.5418 Å (Cu Kα)).

Largest 8 diffraction maxima, most intense first, 2θ from 10° to 90°:
2θ 41.2, I = 100
2θ 43.9, I = 69
2θ 46.0, I = 54
2θ 30.6, I = 45
2θ 24.6, I = 42
2θ 33.1, I = 41
2θ 44.4, I = 41
2θ 52.2, I = 39

Cell and atoms:
```
Hf2MnPd7
1.0
4.0785 -7.7915 0.0000
4.0785 7.7915 0.0000
0.0000 0.0000 2.9197
Hf Mn Pd
2 1 7
direct
0.1700 0.8300 0.0000
0.8300 0.1700 0.0000
0.5000 0.5000 0.5000
0.0000 0.0000 0.0000
0.1896 0.3755 0.0000
0.3104 0.6896 0.5000
0.3755 0.1896 0.0000
0.6245 0.8104 0.0000
0.6896 0.3104 0.5000
0.8104 0.6245 0.0000
```

=====

For Hf8MnPt2, a GGA-PBE-relaxed structure gives the calculated X-ray powder pattern in this record (λ = 1.5418 Å (Cu Kα)).

Largest 8 diffraction maxima, most intense first, 2θ from 10° to 90°:
2θ 38.3, I = 100
2θ 35.0, I = 96
2θ 36.1, I = 89
2θ 36.4, I = 87
2θ 34.8, I = 51
2θ 37.1, I = 41
2θ 31.1, I = 35
2θ 67.1, I = 30

Cell and atoms:
```
Hf8MnPt2
1.0
7.7427 -2.3508 0.0000
7.7427 2.3508 0.0000
-1.0094 0.0000 6.0978
Hf Mn Pt
8 1 2
direct
0.0263 0.0263 0.2550
0.1902 0.1902 0.8054
0.3416 0.3416 0.5458
0.4125 0.4125 0.0641
0.5875 0.5875 0.9359
0.6584 0.6584 0.4542
0.8098 0.8098 0.1946
0.9737 0.9737 0.7450
0.5000 0.5000 0.5000
0.2032 0.2032 0.2330
0.7968 0.7968 0.7670
```

----------

Entry 1:
Diffraction record for PmPr3Sm8. The powder XRD pattern is simulated, not measured: it uses a GGA-PBE-relaxed structure and copper Kα.

a b c (Å): 8.8533 8.8533 11.5227
'''

In the midst of the chaos, with my life hanging in the balance, he looked at me—his Luna—and still ran to save her, another she-wolf, as if her life was the only one that mattered. He left me to fend for myself, abandoned and broken.

That same night, I lost everything—our baby, my trust, and the love I once had for him. Now, with my heart hardened and my bond to Joshua fraying, I must find the strength to move on, even if it means embracing the darkness that follows.


I glanced at Joshua, my mate, riding just ahead of me. His focus was fixed, his posture rigid—ready for anything that came our way. He had always been that way, a powerful Alpha, dedicated to protecting the pack. But lately, that protection had seemed... misplaced.

Behind him, Monique rode with her usual grace, her red hair catching the moonlight. She had been a member of our pack for less than a year, and yet she seemed to hold more of Joshua’s attention than I ever did. My wolf stirred uneasily at the thought, her instincts sharp and restless. I could feel her frustration, her need for recognition. We were Luna, after all. I was Luna.

But ever since Monique’s arrival, I felt like a ghost in my own pack. The way Joshua looked at her, the way he rushed to her side in every moment of need—it was enough to make me sick. And now, sitting here, just behind him, I could feel the growing distance between us more than ever.

I hadn’t told him yet. About the pregnancy. My hand rested lightly on my stomach, where our pup was growing inside me. I had wanted to tell him at the right moment, but when would that be? When his attention was constantly elsewhere?

My thoughts were interrupted by a howl cutting through the night, sharp and full of warning. A second later, the rival Wolf Pack burst from the trees, teeth bared and eyes glowing with hunger. My wolf reacted instantly, surging to the surface as I shifted in one smooth motion. My body transformed, fur bristling and claws extending.

“Ambush!” Alpha Joshua’s voice rang out as he shifted, his powerful black wolf leaping into action.

The rival wolf pack attacked from all sides, their foul scent filling the air. I dodged one, snapping my jaws at another, my movements fueled by the primal instinct to protect my pack—my unborn pup. I needed to be strong, I needed to survive this.

From the corner of my eye, I saw Monique struggling, fear flashing in her eyes as a rival wolf closed in on her. Let her fight, I thought. She wasn’t weak—she was a warrior like the rest of us

But Joshua… he saw her, too.

In the middle of the chaos, in the midst of battle, my mate turned away from the rival wolf attacking him and ran to her.

“Alpha!” I snarled through the mind-link, fury boiling inside me. But he didn’t hear me—or didn’t care.

He lunged in front of Monique, blocking the rival wolf’s attack, taking the hit meant for her. She clung to his fur, trembling, as he fought off the rival wolf with a savage growl.

And that was the moment.

The moment I realized I had lost him. Not just now, but long ago. He had chosen her, again and again, without even noticing it. My wolf howled inside me, the pain of that realization a knife to the heart. But I couldn’t afford to dwell on it now. There were still rival wolves to fight.

Each attack felt like a distraction from the real pain, the one I couldn’t fight with claws and teeth.

A rival wolf came at me from the side, faster than I expected. Its claws raked across my abdomen, and I stumbled, a sharp, tearing pain shooting through me. I yelped,as I collapsed onto the ground.


The pain wasn’t just from the wound. It was deeper—inside. I could feel it. The life inside me, fragile and precious, slipping away. My breath hitched as I pressed a shaking hand to my stomach, my vision blurring.

“No…” I whispered, barely able to form the word.

The world around me was still chaos—growls, howls—but all I could focus on was the loss. The life I had barely known, the secret I had kept. Gone.


Chapter 2

The days following the ambush felt like they stretched into months. I had returned to my duties, but it wasn’t the same. Something had shifted in me, and I knew I couldn’t ignore it anymore.

The pack moved on as if nothing had changed, but I had. The loss—my secret loss—cut deeper than any wound I could show. Joshua didn’t know, and he never would. It wasn’t something I could share with him, not anymore. He wouldn’t understand. How could he, when his heart was already elsewhere?

I threw myself into the routines. Morning patrols. Training. Meetings. But every move felt mechanical, like I was merely going through the motions of being Luna.

The whispers started soon after. “Where’s Luna Eloise?” they would ask when I wasn’t there, or “She hasn’t been the same since the attack.” They thought I couldn’t hear them, but I did.

Let them whisper. I didn’t care. Not anymore.


I was in the pack’s training grounds, watching a few of the warriors spar when I felt someone approach. The scent hit me before I saw him—Joshua. Pine and earth, the unmistakable scent of my mate. My wolf stirred slightly, but I forced her down. She wasn’t going to cloud my judgment. Not today.

“Eloise.” His voice was softer than usual, as if he knew something was off but couldn’t quite put his finger on it.

I turned to him, meeting his gaze without flinching. “What do you want, Alpha?”

His eyes flickered with something—concern, maybe? But I wasn’t falling for that anymore. “You’ve been distant,” he said. “The pack needs you.”

I let out a bitter laugh. “The pack doesn’t need me. They need someone who cares enough to lead them. I’m not sure I’m that person anymore.”

Joshua frowned, taking a step closer. “What are you talking about? You’re Luna. You’ve always been strong for the pack.”

I shook my head, unable to hold back the frustration that had been building for weeks. “You don’t get it, do you? I’m not here to be your shadow, Alpha. I’m not here to clean up after your mistakes or pretend everything is fine.”

He stiffened, his jaw tightening. “I don’t see you as a shadow, Eloise.”

“Don’t you?” I snapped, my voice rising. “Because ever since Monique arrived, you’ve done nothing but put her first. You didn’t even see me! You didn’t notice what I was going through.”

Joshua blinked, taken aback by the force of my words. “Monique has nothing to do with this.”

“She has everything to do with this,” I shot back. “Every time you chose her over me, every time you went to her, leaving me behind... You think I didn’t notice? The entire pack noticed.”

His brow furrowed. “I was protecting her—”

The article is interrupted by data records
┌──
1.
This entry pairs a crystal structure of Zn2Cd2SF6 with its computed powder XRD pattern. Radiation: Cu Kα (weighted mean of Kα1 and Kα2). Structure: a PBE-relaxed structure.
Peak positions follow from Bragg's law for the DFT cell and can differ from measured ones.

Peak list (10 most intense, 2θ from 10° to 80°, in order of rising 2θ)
Position (°2θ)	I_rel
14.38	6.5
29.00	100.0
33.61	22.3
36.73	12.0
44.12	3.1
48.27	55.0
57.30	41.4
60.10	8.2
70.65	7.5
78.12	16.0

Structural model:
Unit cell a=10.6658 b=10.6658 c=10.6658 alpha=90.00 beta=90.00 gamma=90.00
Space group Fd-3m (No. 227, origin choice 2)
Inequivalent atoms, fractional coordinates:
Zn (0.0000, 0.0000, 0.0000) [16 per cell]
Cd (0.0000, 0.0000, 0.5000) [16 per cell]
S (0.1250, 0.1250, 0.6250) [8 per cell]
F (0.0752, 0.3750, 0.3750) [48 per cell]

***

2.
This entry pairs a crystal structure of ReTcAsO with its computed powder XRD pattern. Radiation: Cu Kα (weighted mean of Kα1 and Kα2). Structure: a PBE-relaxed structure.
Peak positions follow from Bragg's law for the DFT cell and can differ from measured ones.

Peak list (10 most intense, 2θ from 10° to 80°, in order of rising 2θ)
Position (°2θ)	I_rel
15.68	52.4
22.27	53.1
23.32	57.3
32.47	64.6
34.69	53.7
39.06	80.1
41.61	100.0
42.94	76.0
45.45	58.4
47.67	47.3

Structural model:
Unit cell a=3.9912 b=5.6506 c=5.1719 alpha=90.00 beta=90.00 gamma=90.00
Space group Pmc2_1 (No. 26)
Inequivalent atoms, fractional coordinates:
Re (0.0000, 0.2156, 0.0000) [2 per cell]
Tc (0.5000, 0.0789, 0.6637) [2 per cell]
As (0.0000, 0.3249, 0.4984) [2 per cell]
O (0.5000, 0.2606, 0.0163) [2 per cell]

***

3.
This entry pairs a crystal structure of Lu2ZnS4 with its computed powder XRD pattern. Radiation: Cu Kα (weighted mean of Kα1 and Kα2). Structure: a PBE-relaxed structure.
Peak positions follow from Bragg's law for the DFT cell and can differ from measured ones.

Peak list (10 most intense, 2θ from 10° to 80°, in order of rising 2θ)
Position (°2θ)	I_rel
15.65	27.4
19.46	56.3
24.65	39.2
26.78	36.3
27.28	57.3
28.03	62.9
39.54	100.0
47.22	19.6
47.43	34.0
65.97	18.7

Structural model:
Unit cell a=13.2616 b=7.7000 c=6.2599 alpha=90.00 beta=90.00 gamma=90.00
Space group Pnma (No. 62)
Inequivalent atoms, fractional coordinates:
Lu (0.0000, 0.0000, 0.0000) [4 per cell]
Lu (0.2349, 0.2500, 0.4981) [4 per cell]
Zn (0.0920, 0.7500, 0.4122) [4 per cell]
S (0.0715, 0.2500, 0.7460) [4 per cell]
S (0.0906, 0.7500, 0.7788) [4 per cell]
S (0.1686, 0.5092, 0.2414) [8 per cell]

***

4.
This entry pairs a crystal structure of Ba2Ir2O5 with its computed powder XRD pattern. Radiation: Cu Kα (weighted mean of Kα1 and Kα2). Structure: a PBE-relaxed structure.
Peak positions follow from Bragg's law for the DFT cell and can differ from measured ones.

Peak list (10 most intense, 2θ from 10° to 80°, in order of rising 2θ)
Position (°2θ)	I_rel
30.27	25.9
30.70	29.0
31.55	100.0
43.65	25.4
46.74	11.7
54.58	17.3
55.11	20.9
56.70	9.7
56.96	10.8
65.87	14.1

Structural model:
└──
The article goes on

“I know.” I cut him off. “And I understand. You’re Alpha. It’s your duty to protect the pack. But that’s not the problem, Alpha. It’s that you didn’t protect me. You didn’t even ask how I was after the ambush. You didn’t see me.”

He stared at me, speechless for a moment. “I—”

“I lost something that day, Alpha,” I said, my voice softer now, more broken than I wanted it to be. “And you never even asked. You never cared enough to notice.”

“What are you talking about?” His voice dropped, concern creeping in now.

I pressed my lips together, the words clawing at my throat. I lost our child, I wanted to scream. But I didn’t. What would be the point? He hadn’t noticed I was pregnant, and now it was too late.


Chapter 3

The decision to leave didn’t come suddenly—it was the result of years of neglect, of small betrayals that I had tried to ignore. I had told myself over and over that things would get better, that Joshua would come back to me, and that his attention on Monique was temporary. But I was lying to myself.

Each time I saw him with her, each time he chose her over me, a part of me broke. And I had let it happen. I had stood by, silent, while my mate—the Alpha—showered Monique with the attention that should have been mine. I had been blind to it for so long, convincing myself that Joshua’s bond with me would overcome everything. But it hadn’t.

The ambush had opened my eyes, and now, no matter how hard I tried, I couldn’t close them again. I couldn’t unsee the truth. The truth that Joshua had been pulling away from me for years. The truth that he had chosen Monique long before that attack. I had been blind, but I wasn’t anymore.

That evening, as I sat by the window of our shared room, the memories flooded back. It wasn’t just one incident—it had been a thousand small moments, piling up until I could no longer breathe under the weight of them.

The first time was subtle. Monique had only just joined the pack. She was the daughter of an allied Alpha, and Joshua had been tasked with making her feel welcome. I had brushed off their growing closeness at first. I told myself that he was just doing his duty, that it was nothing more than him being a good Alpha.

But then came the missed dinners, the moments where I would catch them training together for hours while I stood on the sidelines, watching like a stranger. The way he would cancel our meetings to spend time with her, always with some flimsy excuse about “pack meeting” or “strengthening alliances.” And I had accepted it. Every time, I told myself it didn’t mean anything. That we were stronger than this.

But the day of the ambush had shattered that illusion. He had chosen her. In the heat of battle, when instinct ruled, he hadn’t come to me. He hadn’t protected me, his Luna, his mate. He had protected her. And in that moment, something inside me broke. That was when I realized: I had been nothing more than an afterthought for him, a title without meaning.

Now, as I sat there, staring at the bag I had packed, I knew I couldn’t stay any longer. I couldn’t live in the shadow of a mate who didn’t see me.

I walked over to the desk, the weight of my decision heavy on my chest. But it wasn’t sadness I felt—it was a strange kind of relief. I picked up a pen and stared at the blank sheet of paper. What could I even say? How do you put years of hurt into words?


I’ve tried for so long to make this work. I’ve tried to believe that we could find our way back to each other, but I can’t do it anymore.

You’ve been drifting away from me for years, and I was too blind to see it. Too blind to admit that you’ve chosen Monique over me time and time again. I’ve tried to convince myself that things would change, but they haven’t. And they won’t.

I can’t stay in a place where I’m no longer respected or seen. I deserve better than being someone’s second choice.

This is goodbye.



I finally found a good place to read novels!